_Request_
Type out only the lines underneath with the word "Structure" in them, please.

_Source_
____________
1.
# Pm2NdCd2Pb2
Computed X-ray diffraction stick pattern, λ = 1.5418 Å (Cu Kα). Input: a DFT-relaxed cell (GGA-PBE, Alexandria).

Structure:
```
data_Pm2NdCd2Pb2
_chemical_formula_sum 'Pm6 Nd3 Cd6 Pb6'
_cell_length_a 5.1299
_cell_length_b 5.1299
_cell_length_c 27.0690
_cell_angle_alpha 90.00
_cell_angle_beta 90.00
_cell_angle_gamma 120.00
_symmetry_space_group_name_H-M 'R -3 m'
_symmetry_Int_Tables_number 166
_symmetry_space_group_name_Hall '-R 3 2"'
loop_
_atom_site_label
_atom_site_type_symbol
_atom_site_fract_x
_atom_site_fract_y
_atom_site_fract_z
_atom_site_occupancy
Pm1 Pm 0.0000 0.0000 0.1330 1
Nd1 Nd 0.0000 0.0000 0.0000 1
Cd1 Cd 0.0000 0.0000 0.4279 1
Pb1 Pb 0.0000 0.0000 0.2705 1
```

Principal peaks in the range 2θ = 10–90°, most intense first:
d 2.917, rel. 100, hkl 1 0 7; d 2.565, rel. 88, hkl 1 1 0; d 1.926, rel. 30, hkl 0 2 7; d 1.540, rel. 29, hkl 2 1 7; d 1.481, rel. 16, hkl 3 0 0; d 2.692, rel. 15, hkl 0 1 8; d 1.174, rel. 12, hkl 1 3 7; d 1.476, rel. 11, hkl 1 1 15; d 1.773, rel. 11, hkl 0 1 14; d 1.282, rel. 10, hkl 2 2 0

---

2.
# Nd5Cd4Pd
Computed X-ray diffraction stick pattern, λ = 1.5418 Å (Cu Kα). Input: a DFT-relaxed cell (GGA-PBE, Alexandria).

Structure:
```
data_Nd5Cd4Pd
_chemical_formula_sum 'Nd5 Cd4 Pd1'
_cell_length_a 3.8009
_cell_length_b 3.8009
_cell_length_c 19.1250
_cell_angle_alpha 90.00
_cell_angle_beta 90.00
_cell_angle_gamma 90.00
_symmetry_space_group_name_H-M 'P 4/m m m'
_symmetry_Int_Tables_number 123
_symmetry_space_group_name_Hall '-P 4 2'
loop_
_atom_site_label
_atom_site_type_symbol
_atom_site_fract_x
_atom_site_fract_y
_atom_site_fract_z
_atom_site_occupancy
Nd1 Nd 0.0000 0.0000 0.0000 1
Nd2 Nd 0.0000 0.0000 0.2060 1
Nd3 Nd 0.0000 0.0000 0.4119 1
Cd1 Cd 0.5000 0.5000 0.1034 1
Cd2 Cd 0.5000 0.5000 0.3066 1
Pd1 Pd 0.5000 0.5000 0.5000 1
```

Principal peaks in the range 2θ = 10–90°, most intense first:
d 2.696, rel. 100, hkl 1 0 5; d 2.688, rel. 52, hkl 1 1 0; d 1.553, rel. 37, hkl 2 1 5; d 1.900, rel. 19, hkl 2 0 0; d 1.558, rel. 16, hkl 1 1 10; d 1.202, rel. 16, hkl 3 1 0; d 1.348, rel. 10, hkl 2 0 10; d 1.913, rel. 8, hkl 0 0 10; d 1.344, rel. 6, hkl 2 2 0; d 1.100, rel. 5, hkl 2 2 10

---

3.
# Nd2Cd3Pd4
Computed X-ray diffraction stick pattern, λ = 1.5418 Å (Cu Kα). Input: a DFT-relaxed cell (GGA-PBE, Alexandria).

Structure:
```
data_Nd2Cd3Pd4
_chemical_formula_sum 'Nd8 Cd12 Pd16'
_cell_length_a 5.8225
_cell_length_b 17.3809
_cell_length_c 7.5737
_cell_angle_alpha 90.00
_cell_angle_beta 90.00
_cell_angle_gamma 90.00
_symmetry_space_group_name_H-M 'C m c e'
_symmetry_Int_Tables_number 64
_symmetry_space_group_name_Hall '-C 2ac 2'
loop_
_atom_site_label
_atom_site_type_symbol
_atom_site_fract_x
_atom_site_fract_y
_atom_site_fract_z
_atom_site_occupancy
Nd1 Nd 0.0000 0.1062 0.0820 1
Cd1 Cd 0.0000 0.0000 0.5000 1
Cd2 Cd 0.2500 0.2351 0.7500 1
Pd1 Pd 0.0000 0.1620 0.4729 1
Pd2 Pd 0.2500 0.0735 0.7500 1
```

Principal peaks in the range 2θ = 10–90°, most intense first:
d 2.308, rel. 100, hkl 2 0 2; d 2.778, rel. 92, hkl 1 5 1; d 2.422, rel. 69, hkl 0 2 3; d 2.300, rel. 52, hkl 0 6 2; d 2.594, rel. 47, hkl 2 2 1; d 1.392, rel. 25, hkl 2 6 4; d 2.053, rel. 23, hkl 2 6 0; d 1.654, rel. 19, hkl 3 5 1; d 2.855, rel. 18, hkl 0 4 2; d 2.706, rel. 18, hkl 0 6 1

---

4.
# NdCd9Pd2
Computed X-ray diffraction stick pattern, λ = 1.5418 Å (Cu Kα). Input: a DFT-relaxed cell (GGA-PBE, Alexandria).

Structure:
```
data_NdCd9Pd2
_chemical_formula_sum 'Nd4 Cd36 Pd8'
_cell_length_a 11.7255
_cell_length_b 11.7255
_cell_length_c 7.5565
_cell_angle_alpha 90.00
_cell_angle_beta 90.00
_cell_angle_gamma 90.00
_symmetry_space_group_name_H-M 'I 41/a m d'
_symmetry_Int_Tables_number 141
loop_
_symmetry_equiv_pos_as_xyz
'x,y,z'
'-x,-y,-z'
'-y+1/4,x+3/4,z+1/4'
'y+1/4,-x+3/4,-z+1/4'
'-x+1/2,-y,z+1/2'
'x+1/2,y,-z+1/2'
'y+1/4,-x+1/4,z+3/4'
'-y+1/4,x+1/4,-z+3/4'
'x,-y,-z'
'-x,y,z'
'-y+1/4,-x+1/4,-z+3/4'
'y+1/4,x+1/4,z+3/4'
'-x+1/2,y,-z+1/2'
'x+1/2,-y,z+1/2'
'y+1/4,x+3/4,-z+1/4'
'-y+1/4,-x+3/4,z+1/4'
____________

_Reply_
Structure:
Structure:
Structure:
Structure: